Next, write out the material further below from the line with "7.560 3.601" to the end without altering anything.
- - -
Entry 1:
Theoretical X-ray powder pattern
Compound: Cu5Si3
Radiation: a wavelength of 1.5418 Å
Structure: a PBE-relaxed structure
Lines closer than 0.1° are merged.

Top 12 peaks for 5° ≤ 2θ ≤ 70°, most intense first:
2theta, I (rel.), (hkl)
42.5, 100, 2 2 1
48.1, 17, 0 4 0
49.7, 15, 4 0 0
50.7, 15, 0 0 2
23.5, 9, 0 2 0
34.9, 7, 2 0 1
16.8, 5, 1 1 0
60.8, 3, 2 4 1
30.1, 2, 1 1 1
55.7, 2, 4 2 0
56.6, 2, 0 2 2
24.3, 1, 2 0 0

Structural model:
Cell: 7.336 7.560 3.601 Å, 90.00 90.00 90.00°
Space group Cmmm (No. 65)
One atom of each set of equivalent atoms:
1 Cu 0.000 0.000 0.000
2 Cu 0.000 0.249 0.500
3 Cu 0.250 0.250 0.000
4 Si 0.000 0.500 0.000
5 Si 0.243 0.000 0.500

Entry 2:
Theoretical X-ray powder pattern
Compound: PuTiO3
Radiation: a wavelength of 1.5418 Å
Structure: a PBE-relaxed structure
Lines closer than 0.1° are merged.

Top 12 peaks for 5° ≤ 2θ ≤ 70°, most intense first:
2theta, I (rel.), (hkl)
36.8, 100, 1 3 1
29.3, 91, 1 1 1
28.4, 50, 1 3 0
18.0, 47, 1 1 0
32.8, 44, 2 0 0
45.8, 43, 2 4 0
22.9, 41, 0 0 1
40.4, 39, 2 0 1
31.0, 38, 0 4 0
38.9, 32, 0 4 1
67.6, 25, 2 4 2
46.9, 25, 0 0 2

Structural model:
Cell: 5.458 11.535 3.876 Å, 90.00 90.00 90.00°
Space group Cmmm (No. 65)
One atom of each set of equivalent atoms:
1 Pu 0.000 0.146 0.000
2 Ti 0.000 0.379 0.500
3 O 0.000 0.356 0.000
4 O 0.241 0.000 0.500
5 O 0.250 0.250 0.500

=====

# BeNi12B6
Simulated powder XRD pattern, CuKα. Input: a cell relaxed with PBE.
Neutral-atom scattering factors, no anomalous dispersion.

Principal peaks in the range 2θ from 10° to 90°, low angle first:
hkl, Position (°2θ), I (rel.)
2 2 0, 36.25, 37
3 1 0, 40.70, 95
2 2 2, 44.79, 51
3 2 1, 48.60, 100
4 0 0, 52.20, 15
3 3 0, 55.63, 13
4 0 2, 58.92, 16
5 0 3, 79.78, 47
6 0 0, 82.58, 10
5 3 2, 85.37, 34
- - -
Cell: 7.336 7.560 3.601 Å, 90.00 90.00 90.00°
Space group Cmmm (No. 65)
One atom of each set of equivalent atoms:
1 Cu 0.000 0.000 0.000
2 Cu 0.000 0.249 0.500
3 Cu 0.250 0.250 0.000
4 Si 0.000 0.500 0.000
5 Si 0.243 0.000 0.500

Entry 2:
Theoretical X-ray powder pattern
Compound: PuTiO3
Radiation: a wavelength of 1.5418 Å
Structure: a PBE-relaxed structure
Lines closer than 0.1° are merged.

Top 12 peaks for 5° ≤ 2θ ≤ 70°, most intense first:
2theta, I (rel.), (hkl)
36.8, 100, 1 3 1
29.3, 91, 1 1 1
28.4, 50, 1 3 0
18.0, 47, 1 1 0
32.8, 44, 2 0 0
45.8, 43, 2 4 0
22.9, 41, 0 0 1
40.4, 39, 2 0 1
31.0, 38, 0 4 0
38.9, 32, 0 4 1
67.6, 25, 2 4 2
46.9, 25, 0 0 2

Structural model:
Cell: 5.458 11.535 3.876 Å, 90.00 90.00 90.00°
Space group Cmmm (No. 65)
One atom of each set of equivalent atoms:
1 Pu 0.000 0.146 0.000
2 Ti 0.000 0.379 0.500
3 O 0.000 0.356 0.000
4 O 0.241 0.000 0.500
5 O 0.250 0.250 0.500

=====

# BeNi12B6
Simulated powder XRD pattern, CuKα. Input: a cell relaxed with PBE.
Neutral-atom scattering factors, no anomalous dispersion.

Principal peaks in the range 2θ from 10° to 90°, low angle first:
hkl, Position (°2θ), I (rel.)
2 2 0, 36.25, 37
3 1 0, 40.70, 95
2 2 2, 44.79, 51
3 2 1, 48.60, 100
4 0 0, 52.20, 15
3 3 0, 55.63, 13
4 0 2, 58.92, 16
5 0 3, 79.78, 47
6 0 0, 82.58, 10
5 3 2, 85.37, 34